Minister Plenipotentiary Fleming-Artsen discusses with Special Envoy to the UN about a Kingdom candidate for the 15-Member UN Security Council  


PHILIPSBURG, Sint Maarten – Minister Plenipotentiary, Hon. Josianne Fleming–Artsen recently met with Ambassador Dr. Bahia Tahzib-Lie, Special Envoy United Nations (UN) Affairs, who paid a courtesy call to Sint Maarten House in The Hague, the Netherlands.

Ambassador Dr. Tahzib-Lie is heading a campaign for the elections of the United Nations (UN) Security Council seat for the period 2017-2018.  It was 20-years ago that the Kingdom of the Netherlands was a member of the Security Council.

The Ambassador is calling on all leaders of the four countries that comprise of the Kingdom of the Netherlands namely, the Netherlands, Sint Maarten, Curacao and Aruba, to make a special effort to assist in presenting a candidate of the Kingdom to the other 192 UN Member States.

The UN Security Council has primary responsibility for the maintenance of international peace and security.  It has 15 Members, and each member has one vote.  Under the Charter, all Member States are obligated to comply with Council decisions.

The Security Council takes the lead in determining the existence of a threat to the peace or act of aggression.  It calls upon the parties to a dispute to settle it by peaceful means and recommends methods of adjustment or terms of settlement.

In some cases, the Security Council can resort to imposing sanctions or even authorize the use of force to maintain or restore international peace and security.

“A Security Council seat would give the Kingdom the opportunity to carry out action and make decisions at the highest international level.  This possibility comes along once every 15 to 20 years.

“A seat at the UN Security Council reinforces the Kingdom’s international position, which coincides with our international input, ambitions and position in The Hague as the judicial capital of the world where the International Court of Justice is located.

“As a Member of the Security Council, the Kingdom along with the other Members decides and also mandates peace missions for the protection of civilians in conflict.  This is very important for the Kingdom based on the contribution of almost 650 Dutch police and military exports currently in UN peacekeeping missions in Mali and South Sudan.

“One of the main international topics has been foreign terrorist fighters, and at the Security Council level, decisions taken protect international peace and security,” Minister Plenipotentiary Hon. Josianne Fleming-Artsen said on Friday.

Out of the 15 Members, five permanent members have veto power and ten-non-permanent members, are elected by the General Assembly for a two-year term.  Meetings are called at any given time when the need arises.

• Materials data, as found in the file:
┌──
[1]
This record from the Alexandria database describes an optimized crystal structure of Pm8Ho3Tl. The functional is GGA-PBE.

## Properties
E_tot = -4.04 eV/atom
calculated volume = 436 Å³ per cell
crystal system = tetragonal
space-group type = I-42m (121)
formation energy = 0.470 eV/atom

a b c (Å): 8.431 8.431 8.431
angles (deg): 93.59 117.95 117.95
Atoms (fractional coordinates):
Tl 0.000 0.000 0.000
Pm 0.000 0.617 0.873
Pm 0.488 0.766 0.766
Pm 0.000 0.722 0.234
Pm 0.256 0.383 0.383
Pm 0.512 0.278 0.278
Pm 0.000 0.234 0.722
Pm 0.744 0.127 0.127
Pm 0.000 0.873 0.617
Ho 0.000 0.500 0.500
Ho 0.500 0.750 0.250
Ho 0.500 0.250 0.750



[2]
This record from the Alexandria database describes an optimized crystal structure of NbPdSe2N. The functional is GGA-PBE.

## Properties
energy above the lowest structure with this stoichiometry = 0.000 eV per atom
E_tot = -5.85 eV/atom
calculated volume = 103 Å³ per cell
crystal system = tetragonal
space-group type = P4/mmm (123)

a b c (Å): 5.158 5.158 3.857
angles (deg): 90.00 90.00 90.00
Atoms (fractional coordinates):
Se 0.000 0.500 0.000
Se 0.500 0.000 0.000
N 0.000 0.000 0.500
Pd 0.500 0.500 0.500
Nb 0.000 0.000 0.000



[3]
This record from the Alexandria database describes an optimized crystal structure of CaTmHg6. The functional is GGA-PBE.

## Properties
energy above the lowest structure with this stoichiometry = 0.000 eV per atom
E_tot = -1.38 eV/atom
calculated volume = 194 Å³ per cell
crystal system = orthorhombic
space-group type = Amm2 (38)
formation energy = -0.341 eV/atom

a b c (Å): 5.117 6.583 6.583
angles (deg): 118.95 90.00 90.00
Atoms (fractional coordinates):
Hg 0.000 0.073 0.407
Hg 0.500 0.911 0.583
Hg 0.000 0.593 0.927
Hg 0.500 0.921 0.079
Hg 0.500 0.417 0.089
Hg 0.000 0.583 0.417
Ca 0.500 0.410 0.590
Tm 0.000 0.090 0.910



[4]
This record from the Alexandria database describes an optimized crystal structure of Cs2Ho2RhO6. The functional is GGA-PBE.

## Properties
E_tot = -6.47 eV/atom
calculated volume = 204 Å³ per cell
crystal system = monoclinic
space-group type = C2/m (12)

a b c (Å): 5.816 5.816 7.175
angles (deg): 97.20 97.20 119.63
Last column: magnetic moment on the atom in μB.
Atoms (fractional coordinates):
O 0.954 0.642 0.345  0.06
O 0.259 0.259 0.344  0.06
O 0.642 0.954 0.345  0.06
O 0.046 0.358 0.655  0.06
O 0.358 0.046 0.655  0.06
O 0.741 0.741 0.656  0.06
Rh 0.000 0.000 0.500  0.62
Ho 0.335 0.665 0.500  0.02
Ho 0.665 0.335 0.500  0.02
Cs 0.834 0.166 0.000  0.00
Cs 0.166 0.834 0.000  0.00

* * * * *

(1)
# PBE Re2IrOs, optimized geometry
# - Total energy: -11.271 eV/atom
# - Total magnetization: 0.00 μB per cell
# - ΔH_f (0 K): -0.024 eV/atom
data_Re2IrOs
_chemical_formula_sum 'Re4 Ir2 Os2'
_space_group_name_H-M_alt 'C 1 m 1'
_space_group_IT_number 8
_space_group_name_Hall 'C -2y'
_cell_length_a 9.108
_cell_length_b 2.747
_cell_length_c 4.770
_cell_angle_alpha 90.00
_cell_angle_beta 100.12
_cell_angle_gamma 90.00
loop_
_atom_site_label
_atom_site_fract_x
└──

Ambassador Tahzibe-Lie will be accompanying Dutch Minister of Foreign Affairs Hon. Bert Koenders to Sint Maarten in early May.

(Unrelated to this page: data records)
# 1
This record from Alexandria via LeMat-Bulk describes a relaxed La3PrSm4 crystal. The functional is PBE.

Unit cell a=3.548 b=9.154 c=9.154 alpha=81.83 beta=78.82 gamma=78.82
Fractional coordinates of all 8 atoms:
Pr1 0.500 0.000 0.000
Sm1 0.634 0.116 0.617
Sm2 0.366 0.884 0.383
Sm3 0.366 0.383 0.884
Sm4 0.634 0.617 0.116
La1 0.759 0.241 0.241
La2 0.241 0.759 0.759
La3 0.000 0.500 0.500

Summary:
Polymorph energy (0 for the lowest one) ... 78 meV per atom
Formation energy ... 0.11 eV/atom

# 2
This record from Alexandria via LeMat-Bulk describes a relaxed La9PrSm2 crystal. The functional is PBE.

Unit cell a=5.237 b=5.237 c=15.716 alpha=90.00 beta=90.00 gamma=90.00
Fractional coordinates of all 12 atoms:
La1 0.500 0.500 0.000
La2 0.500 0.500 0.334
La3 0.500 0.500 0.666
La4 0.500 0.000 0.168
La5 0.500 0.000 0.500
La6 0.500 0.000 0.832
La7 0.000 0.500 0.168
La8 0.000 0.500 0.500
La9 0.000 0.500 0.832
Pr1 0.000 0.000 0.000
Sm1 0.000 0.000 0.334
Sm2 0.000 0.000 0.666

Summary:
Formation energy ... 0.00 eV/atom

# 3
This record from Alexandria via LeMat-Bulk describes a relaxed La15Pr4Sm crystal. The functional is PBE.

Unit cell a=5.250 b=5.250 c=26.391 alpha=90.00 beta=90.00 gamma=90.00
Fractional coordinates of all 20 atoms:
La1 0.500 0.500 0.000
La2 0.500 0.500 0.199
La3 0.500 0.500 0.400
La4 0.500 0.500 0.600
La5 0.500 0.500 0.801
La6 0.500 0.000 0.099
La7 0.500 0.000 0.300
La8 0.500 0.000 0.500
La9 0.500 0.000 0.700
La10 0.500 0.000 0.901
La11 0.000 0.500 0.099
La12 0.000 0.500 0.300
La13 0.000 0.500 0.500
La14 0.000 0.500 0.700
La15 0.000 0.500 0.901
Pr1 0.000 0.000 0.199
Pr2 0.000 0.000 0.400
Pr3 0.000 0.000 0.600
Pr4 0.000 0.000 0.801
Sm1 0.000 0.000 0.000

Summary:
Formation energy ... 0.01 eV/atom

# 4
This record from Alexandria via LeMat-Bulk describes a relaxed La4Pr7Sm crystal. The functional is PBE.

Unit cell a=7.429 b=6.442 c=11.194 alpha=72.97 beta=59.91 gamma=89.95
Fractional coordinates of all 12 atoms:
La1 0.502 0.668 0.332
La2 0.498 0.332 0.668
La3 0.749 0.833 0.667
La4 0.251 0.167 0.333
Pr1 0.751 0.499 0.000
Pr2 0.249 0.501 0.000
Pr3 0.000 0.333 0.668
Pr4 0.000 0.667 0.332
Pr5 0.249 0.834 0.668
Pr6 0.500 0.000 0.000
Pr7 0.751 0.166 0.332
Sm1 0.000 0.000 0.000

Summary:
Polymorph energy (0 for the lowest one) ... 0 meV per atom
Formation energy ... 0.01 eV/atom

# 5
This record from Alexandria via LeMat-Bulk describes a relaxed La2PrSm crystal. The functional is PBE.

Unit cell a=3.723 b=3.723 c=12.230 alpha=81.24 beta=81.24 gamma=60.00
Fractional coordinates of all 4 atoms:
La1 0.084 0.084 0.747
La2 0.248 0.248 0.255
Pr1 0.668 0.668 0.996
Sm1 0.500 0.500 0.501

Summary:
Polymorph energy (0 for the lowest one) ... 5 meV per atom
Formation energy ... 0.02 eV/atom

# 6
This record from Alexandria via LeMat-Bulk describes a relaxed La4Pr8Sm crystal. The functional is PBE.

Unit cell a=11.991 b=11.991 c=7.977 alpha=90.00 beta=138.73 gamma=120.00
Fractional coordinates of all 13 atoms:
La1 0.000 0.000 0.000
La2 0.000 0.500 0.000
(The data records stop here)

PHOTO CUTLINE L to R: Minister Plenipotentiary Hon. Josianne Fleming – Artsen and Ambassador Dr. Bahia Tahzib-Lie, Special Envoy United Nations (UN) Affairs.